## Wanted
Could you type out only the lines underneath with the word "pairs" in them?

## Material
********
(1)
This entry pairs a crystal structure of SrB2Rh2 with its computed X-ray powder pattern. Radiation: Cu Kα (λ = 1.5418 Å). Structure: the GGA-PBE geometry in Alexandria.
Neutral-atom scattering factors, no anomalous dispersion.

Top 12 peaks for 10 to 90 degrees two-theta, in order of rising 2θ:
2theta	I_rel
19.23	23
30.60	100
35.06	97
38.12	39
41.05	53
46.07	21
52.81	21
54.04	16
57.26	16
60.14	17
66.92	18
81.33	16

Crystal structure
abc: 6.091 9.443 10.674
angles: 90.00 90.00 90.00
Space group Fddd (No. 70, origin choice 2)
Asymmetric unit:
Sr: 0.125 0.125 0.125 (multiplicity 8)
B: 0.125 0.298 0.625 (multiplicity 16)
Rh: 0.125 0.125 0.494 (multiplicity 16)


(2)
This entry pairs a crystal structure of Na3Ga2Pt3 with its computed X-ray powder pattern. Radiation: Cu Kα (λ = 1.5418 Å). Structure: the GGA-PBE geometry in Alexandria.
Neutral-atom scattering factors, no anomalous dispersion.

Top 12 peaks for 10 to 90 degrees two-theta, in order of rising 2θ:
2theta	I_rel
13.94	100
19.12	14
20.77	38
28.10	15
35.42	17
37.89	40
38.03	15
38.80	23
42.26	40
43.41	15
44.72	24
54.34	15

Crystal structure
abc: 5.5268 5.5268 19.0542
angles: 90.00 90.00 120.00
Space group R-3m (No. 166, hexagonal axes)
Asymmetric unit:
Na: 0.0000 0.0000 0.0000 (multiplicity 3)
Na: 0.0000 0.0000 0.4261 (multiplicity 6)
Ga: 0.0000 0.0000 0.2695 (multiplicity 6)
Pt: 0.0000 0.5000 0.5000 (multiplicity 9)
********

## Here it is
This entry pairs a crystal structure of SrB2Rh2 with its computed X-ray powder pattern. Radiation: Cu Kα (λ = 1.5418 Å). Structure: the GGA-PBE geometry in Alexandria.
This entry pairs a crystal structure of Na3Ga2Pt3 with its computed X-ray powder pattern. Radiation: Cu Kα (λ = 1.5418 Å). Structure: the GGA-PBE geometry in Alexandria.